[Brief]
Could you return every line further down that contains the word "structure"?
[Data]
~~~
Record 1
# Sr2Al3In
Simulated powder X-ray diffraction pattern, Cu Kα (λ = 1.5418 Å). Input: a PBE-relaxed structure.

```
Sr2Al3In
1.0
5.647 -2.457 0.000
5.647 2.457 0.000
-5.545 0.000 5.703
Sr Al In
2 3 1
Direct
0.000 0.000 0.000
0.095 0.095 0.595
0.386 0.386 0.197
0.702 0.702 0.383
0.718 0.718 0.043
0.388 0.388 0.576
```

Most intense lines, 10 to 90 degrees two-theta, low angle first:
| 2θ/deg | d/Å | Rel. int. |
| --- | --- | --- |
| 15.54 | 5.703 | 227 |
| 21.15 | 4.201 | 274 |
| 21.25 | 4.180 | 218 |
| 30.66 | 2.916 | 555 |
| 30.86 | 2.897 | 783 |
| 31.05 | 2.881 | 1000 |
| 31.37 | 2.851 | 384 |
| 36.58 | 2.457 | 505 |
| 38.04 | 2.366 | 608 |
| 48.94 | 1.861 | 216 |



Record 2
# AlIr
Simulated powder X-ray diffraction pattern, Cu Kα (λ = 1.5418 Å). Input: a PBE-relaxed structure.

```
AlIr
1.0
3.018 0.000 0.000
0.000 3.018 0.000
0.000 0.000 3.018
Al Ir
1 1
Direct
0.000 0.000 0.000
0.500 0.500 0.500
```

Most intense lines, 10 to 90 degrees two-theta, low angle first:
| 2θ/deg | d/Å | Rel. int. |
| --- | --- | --- |
| 29.60 | 3.018 | 730 |
| 42.36 | 2.134 | 1000 |
| 52.52 | 1.742 | 204 |
| 61.45 | 1.509 | 168 |
| 69.67 | 1.350 | 266 |
| 77.48 | 1.232 | 346 |



Record 3
# Al9Ir2
Simulated powder X-ray diffraction pattern, Cu Kα (λ = 1.5418 Å). Input: a PBE-relaxed structure.

```
Al9Ir2
1.0
6.405 0.000 0.000
0.000 6.463 0.000
-0.764 0.000 8.746
Al Ir
18 4
Direct
0.000 0.000 0.000
0.000 0.500 0.500
0.098 0.215 0.727
0.098 0.285 0.227
0.213 0.604 0.040
0.213 0.896 0.540
0.388 0.195 0.999
0.388 0.305 0.499
0.400 0.520 0.770
0.400 0.980 0.270
0.600 0.020 0.730
0.600 0.480 0.230
0.612 0.695 0.501
0.612 0.805 0.001
0.787 0.104 0.460
0.787 0.396 0.960
0.902 0.715 0.773
0.902 0.785 0.273
0.264 0.623 0.332
0.264 0.877 0.832
0.736 0.123 0.168
0.736 0.377 0.668
```

Most intense lines, 10 to 90 degrees two-theta, low angle first:
| 2θ/deg | d/Å | Rel. int. |
| --- | --- | --- |
| 19.55 | 4.541 | 1000 |
| 21.49 | 4.136 | 741 |
| 22.62 | 3.932 | 611 |
| 23.64 | 3.763 | 463 |
| 24.58 | 3.622 | 543 |
| 25.68 | 3.469 | 460 |
| 27.97 | 3.190 | 472 |
| 29.47 | 3.031 | 634 |
| 42.52 | 2.126 | 561 |
| 43.26 | 2.091 | 470 |



Record 4
# Al3Ir
Simulated powder X-ray diffraction pattern, Cu Kα (λ = 1.5418 Å). Input: a PBE-relaxed structure.

```
Al3Ir
1.0
4.300 0.000 0.000
-2.150 3.724 0.000
0.000 0.000 7.796
Al Ir
6 2
Direct
0.000 0.000 0.250
0.000 0.000 0.750
0.333 0.667 0.079
0.333 0.667 0.421
0.667 0.333 0.579
0.667 0.333 0.921
0.333 0.667 0.750
0.667 0.333 0.250
```

Most intense lines, 10 to 90 degrees two-theta, low angle first:
| 2θ/deg | d/Å | Rel. int. |
| --- | --- | --- |
| 22.81 | 3.898 | 423 |
| 23.89 | 3.724 | 292 |
| 26.53 | 3.360 | 1000 |
| 42.02 | 2.150 | 545 |
| 42.42 | 2.131 | 645 |
| 48.34 | 1.883 | 352 |
| 50.39 | 1.811 | 181 |
| 61.24 | 1.514 | 219 |
| 64.54 | 1.444 | 162 |
| 77.05 | 1.238 | 226 |



Record 5
# Al3Ir
Simulated powder X-ray diffraction pattern, Cu Kα (λ = 1.5418 Å). Input: a PBE-relaxed structure.

```
Al3Ir
1.0
7.809 0.000 0.000
0.000 7.809 0.000
0.000 0.000 7.809
Al Ir
24 8
Direct
~~~
[Response]
Simulated powder X-ray diffraction pattern, Cu Kα (λ = 1.5418 Å). Input: a PBE-relaxed structure.
Simulated powder X-ray diffraction pattern, Cu Kα (λ = 1.5418 Å). Input: a PBE-relaxed structure.
Simulated powder X-ray diffraction pattern, Cu Kα (λ = 1.5418 Å). Input: a PBE-relaxed structure.
Simulated powder X-ray diffraction pattern, Cu Kα (λ = 1.5418 Å). Input: a PBE-relaxed structure.
Simulated powder X-ray diffraction pattern, Cu Kα (λ = 1.5418 Å). Input: a PBE-relaxed structure.